Source
-- begin --
92
Properties=species:S:1:pos:R:3 method="wB97M-V/def2-TZVPD" total_charge=+2 spin_multiplicity=4 de_lowest_kcal_mol=3.80 total_energy_ev=-166669.9431 s2=3.78 homo_lumo_gap_ev="7.320 / 3.742"
N -6.290 4.664 -5.856
C -6.219 4.937 -4.553
C -5.470 4.161 -3.651
C -4.712 3.041 -4.097
C -4.798 2.784 -5.489
C -5.612 3.604 -6.308
C -3.875 2.316 -3.114
Co -1.034 0.428 -1.183
P 4.556 -0.652 -0.872
C -2.815 1.494 -3.379
C -1.524 1.712 -2.731
C -0.326 1.362 -3.417
C 0.863 2.088 -3.278
C 0.976 2.989 -2.212
C -0.025 2.969 -1.208
C -1.328 2.445 -1.504
Br 2.514 3.930 -1.923
H -4.105 2.625 -2.092
H -2.823 0.820 -4.239
H -5.479 4.456 -2.600
H -4.262 1.964 -5.959
H -6.784 5.810 -4.215
H -5.708 3.406 -7.382
H -0.496 0.743 -4.292
H -2.219 2.901 -1.077
H 1.655 1.987 -4.017
H 0.158 3.458 -0.252
P -1.248 -1.820 -1.068
C 5.008 1.124 -0.635
C 6.440 1.299 -1.143
H 4.968 1.308 0.453
H 4.289 1.791 -1.135
H 6.743 2.346 -1.074
H 7.130 0.724 -0.521
H 6.561 0.965 -2.181
C 3.742 -0.745 -2.512
C 4.451 -1.783 -3.397
H 3.778 0.261 -2.960
H 2.691 -1.020 -2.341
H 3.982 -1.825 -4.385
H 5.509 -1.536 -3.545
H 4.413 -2.786 -2.953
C 3.326 -0.853 0.445
C 3.946 -1.507 1.687
H 2.498 -1.447 0.033
H 2.979 0.161 0.667
H 3.199 -2.115 2.210
H 4.778 -2.173 1.416
H 4.342 -0.758 2.385
C -1.195 -3.106 0.259
C -1.547 -4.523 -0.214
H -1.864 -2.808 1.080
H -0.164 -3.089 0.646
H -2.630 -4.650 -0.329
H -1.076 -4.783 -1.171
H -1.202 -5.240 0.543
C 0.088 -2.403 -2.166
C -0.151 -2.095 -3.634
H 0.234 -3.477 -1.989
H 0.990 -1.870 -1.822
H -1.154 -2.396 -3.960
H -0.041 -1.026 -3.837
H 0.591 -2.618 -4.250
C -2.907 -2.088 -1.839
C -4.021 -1.908 -0.810
H -2.967 -3.077 -2.324
H -2.992 -1.318 -2.621
H -4.894 -1.455 -1.295
H -4.348 -2.860 -0.368
H -3.730 -1.239 0.014
C -1.991 1.478 2.074
N -0.889 0.656 1.491
C -0.914 -0.623 2.245
N -0.698 -0.447 3.693
C -1.755 0.433 4.232
N -1.794 1.733 3.532
C -0.483 2.362 3.748
N 0.625 1.528 3.215
C 0.403 1.304 1.778
C 0.600 0.223 3.904
H -2.937 0.930 1.964
H -2.038 2.447 1.559
H -0.131 -1.272 1.843
H -1.901 -1.085 2.106
H -1.558 0.600 5.301
H -2.722 -0.072 4.115
H -0.464 3.328 3.224
H -0.321 2.520 4.822
H 1.204 0.653 1.403
H 0.442 2.281 1.275
H 0.741 0.388 4.985
H 1.407 -0.413 3.511

***

98
Properties=species:S:1:pos:R:3 method="wB97M-V/def2-TZVPD" total_charge=+2 spin_multiplicity=2 de_lowest_kcal_mol=5.16 total_energy_ev=-110417.9184 s2=0.76 homo_lumo_gap_ev="8.346 / 8.665"
Co 0.058 -0.033 0.027
C 0.952 3.262 1.716
C 0.449 2.510 2.945
C 1.572 2.308 3.953
C -0.266 1.226 2.543
C 0.063 -0.034 3.061
C -0.679 -1.153 2.746
C -1.803 -1.072 1.920
C -2.647 -2.290 1.652
C -2.169 0.187 1.438
C -1.409 1.313 1.739
H 1.464 4.182 2.006
H 0.123 3.538 1.056
H 1.663 2.643 1.155
H -0.314 3.133 3.421
H 2.407 1.742 3.524
H 1.237 1.790 4.854
H 1.967 3.276 4.264
H 0.907 -0.136 3.734
H -0.391 -2.116 3.153
H -3.315 -2.466 2.497
H -2.031 -3.183 1.534
H -3.260 -2.166 0.760
H -3.101 0.309 0.899
H -1.761 2.287 1.418
N -2.576 -1.151 -1.596
C -1.478 -1.901 -1.743
N -1.574 -2.972 -2.517
C -0.496 -3.754 -2.565
N -0.549 -4.829 -3.347
N 0.658 -3.557 -1.873
C 0.649 -2.482 -1.142
N -0.348 -1.583 -1.037
C 1.801 -2.181 -0.266
C 2.958 -2.926 -0.258
C 3.985 -2.527 0.586
C 3.811 -1.402 1.374
C 2.612 -0.717 1.310
N 1.619 -1.112 0.516
H -3.370 -1.407 -2.159
H -2.491 -0.206 -1.253
H -1.393 -5.041 -3.850
H 0.232 -5.462 -3.378
H 3.036 -3.790 -0.903
H 4.910 -3.088 0.625
H 4.590 -1.050 2.036
H 2.436 0.170 1.904
C -1.947 0.592 -4.721
C -2.491 1.788 -3.983
C -3.181 2.787 -4.877
O -1.327 2.483 -3.373
P -1.004 2.539 -1.850
O -1.117 1.245 -1.106
C 0.648 3.250 -1.914
P 1.966 2.035 -1.975
O 1.574 0.817 -1.221
O 3.264 2.649 -1.378
C 3.993 3.911 -1.677
C 3.618 4.929 -0.629
C 3.789 4.395 -3.096
O 2.144 1.780 -3.502
C 2.855 0.549 -3.951
C 3.716 0.940 -5.119
C 1.805 -0.487 -4.272
O -1.944 3.562 -1.137
C -2.223 4.936 -1.634
C -3.718 5.108 -1.588
C -1.480 5.907 -0.751
H -2.768 -0.002 -5.127
H -1.347 -0.044 -4.068
H -1.322 0.924 -5.554
H -3.159 1.481 -3.176
H -2.490 3.136 -5.648
H -3.545 3.648 -4.318
-- stop --
Assignment
Quote the block further above without additions.
Completed
92
Properties=species:S:1:pos:R:3 method="wB97M-V/def2-TZVPD" total_charge=+2 spin_multiplicity=4 de_lowest_kcal_mol=3.80 total_energy_ev=-166669.9431 s2=3.78 homo_lumo_gap_ev="7.320 / 3.742"
N -6.290 4.664 -5.856
C -6.219 4.937 -4.553
C -5.470 4.161 -3.651
C -4.712 3.041 -4.097
C -4.798 2.784 -5.489
C -5.612 3.604 -6.308
C -3.875 2.316 -3.114
Co -1.034 0.428 -1.183
P 4.556 -0.652 -0.872
C -2.815 1.494 -3.379
C -1.524 1.712 -2.731
C -0.326 1.362 -3.417
C 0.863 2.088 -3.278
C 0.976 2.989 -2.212
C -0.025 2.969 -1.208
C -1.328 2.445 -1.504
Br 2.514 3.930 -1.923
H -4.105 2.625 -2.092
H -2.823 0.820 -4.239
H -5.479 4.456 -2.600
H -4.262 1.964 -5.959
H -6.784 5.810 -4.215
H -5.708 3.406 -7.382
H -0.496 0.743 -4.292
H -2.219 2.901 -1.077
H 1.655 1.987 -4.017
H 0.158 3.458 -0.252
P -1.248 -1.820 -1.068
C 5.008 1.124 -0.635
C 6.440 1.299 -1.143
H 4.968 1.308 0.453
H 4.289 1.791 -1.135
H 6.743 2.346 -1.074
H 7.130 0.724 -0.521
H 6.561 0.965 -2.181
C 3.742 -0.745 -2.512
C 4.451 -1.783 -3.397
H 3.778 0.261 -2.960
H 2.691 -1.020 -2.341
H 3.982 -1.825 -4.385
H 5.509 -1.536 -3.545
H 4.413 -2.786 -2.953
C 3.326 -0.853 0.445
C 3.946 -1.507 1.687
H 2.498 -1.447 0.033
H 2.979 0.161 0.667
H 3.199 -2.115 2.210
H 4.778 -2.173 1.416
H 4.342 -0.758 2.385
C -1.195 -3.106 0.259
C -1.547 -4.523 -0.214
H -1.864 -2.808 1.080
H -0.164 -3.089 0.646
H -2.630 -4.650 -0.329
H -1.076 -4.783 -1.171
H -1.202 -5.240 0.543
C 0.088 -2.403 -2.166
C -0.151 -2.095 -3.634
H 0.234 -3.477 -1.989
H 0.990 -1.870 -1.822
H -1.154 -2.396 -3.960
H -0.041 -1.026 -3.837
H 0.591 -2.618 -4.250
C -2.907 -2.088 -1.839
C -4.021 -1.908 -0.810
H -2.967 -3.077 -2.324
H -2.992 -1.318 -2.621
H -4.894 -1.455 -1.295
H -4.348 -2.860 -0.368
H -3.730 -1.239 0.014
C -1.991 1.478 2.074
N -0.889 0.656 1.491
C -0.914 -0.623 2.245
N -0.698 -0.447 3.693
C -1.755 0.433 4.232
N -1.794 1.733 3.532
C -0.483 2.362 3.748
N 0.625 1.528 3.215
C 0.403 1.304 1.778
C 0.600 0.223 3.904
H -2.937 0.930 1.964
H -2.038 2.447 1.559
H -0.131 -1.272 1.843
H -1.901 -1.085 2.106
H -1.558 0.600 5.301
H -2.722 -0.072 4.115
H -0.464 3.328 3.224
H -0.321 2.520 4.822
H 1.204 0.653 1.403
H 0.442 2.281 1.275
H 0.741 0.388 4.985
H 1.407 -0.413 3.511

***

98
Properties=species:S:1:pos:R:3 method="wB97M-V/def2-TZVPD" total_charge=+2 spin_multiplicity=2 de_lowest_kcal_mol=5.16 total_energy_ev=-110417.9184 s2=0.76 homo_lumo_gap_ev="8.346 / 8.665"
Co 0.058 -0.033 0.027
C 0.952 3.262 1.716
C 0.449 2.510 2.945
C 1.572 2.308 3.953
C -0.266 1.226 2.543
C 0.063 -0.034 3.061
C -0.679 -1.153 2.746
C -1.803 -1.072 1.920
C -2.647 -2.290 1.652
C -2.169 0.187 1.438
C -1.409 1.313 1.739
H 1.464 4.182 2.006
H 0.123 3.538 1.056
H 1.663 2.643 1.155
H -0.314 3.133 3.421
H 2.407 1.742 3.524
H 1.237 1.790 4.854
H 1.967 3.276 4.264
H 0.907 -0.136 3.734
H -0.391 -2.116 3.153
H -3.315 -2.466 2.497
H -2.031 -3.183 1.534
H -3.260 -2.166 0.760
H -3.101 0.309 0.899
H -1.761 2.287 1.418
N -2.576 -1.151 -1.596
C -1.478 -1.901 -1.743
N -1.574 -2.972 -2.517
C -0.496 -3.754 -2.565
N -0.549 -4.829 -3.347
N 0.658 -3.557 -1.873
C 0.649 -2.482 -1.142
N -0.348 -1.583 -1.037
C 1.801 -2.181 -0.266
C 2.958 -2.926 -0.258
C 3.985 -2.527 0.586
C 3.811 -1.402 1.374
C 2.612 -0.717 1.310
N 1.619 -1.112 0.516
H -3.370 -1.407 -2.159
H -2.491 -0.206 -1.253
H -1.393 -5.041 -3.850
H 0.232 -5.462 -3.378
H 3.036 -3.790 -0.903
H 4.910 -3.088 0.625
H 4.590 -1.050 2.036
H 2.436 0.170 1.904
C -1.947 0.592 -4.721
C -2.491 1.788 -3.983
C -3.181 2.787 -4.877
O -1.327 2.483 -3.373
P -1.004 2.539 -1.850
O -1.117 1.245 -1.106
C 0.648 3.250 -1.914
P 1.966 2.035 -1.975
O 1.574 0.817 -1.221
O 3.264 2.649 -1.378
C 3.993 3.911 -1.677
C 3.618 4.929 -0.629
C 3.789 4.395 -3.096
O 2.144 1.780 -3.502
C 2.855 0.549 -3.951
C 3.716 0.940 -5.119
C 1.805 -0.487 -4.272
O -1.944 3.562 -1.137
C -2.223 4.936 -1.634
C -3.718 5.108 -1.588
C -1.480 5.907 -0.751
H -2.768 -0.002 -5.127
H -1.347 -0.044 -4.068
H -1.322 0.924 -5.554
H -3.159 1.481 -3.176
H -2.490 3.136 -5.648
H -3.545 3.648 -4.318